The French seem to be obsessed with ...
Les Français semblent obsédés par ...
...I don't know what they are obsessed with.
a good quality of life.
cafes, sarkozy, having awesome healthcare
food, art, pleasure,
getting what they want, fairness regardless of economic status.
Keeping traditions and complain about the world
long meals, good food, chilling
making sure everyone is equal.
nothing in particular.
politics and individuality.
strikes and protests.
the politics. Helping the Greeks and the Italians doing the wrong reforms.
their own culture.
their own language and culture,
their president.
wine, drinking, pleasure, indulgence.
l'age légal de la retraite et de leurs jours de congés.
les intérêts personnels.
la crise économique.
la cuisine.
la fête.
la gastronomie et les partis politiques.
la gastronomie, l'alimentation, leur bien-être, les vacances.
la liberté d'expression et des pensées.
la liberté,les droits et l'insatisfaction.
la météo.
== Attached: molecular data ==
-- begin --
No. 1
DFT (wB97M-V/def2-TZVPD) results for a cluster of 2 separate species, C32H46BrIN2O5Si in total.

Each line ends with the Mulliken charge.
Element x y z (Å)
C1 6.07968 -2.13179 1.79968  -0.80
C2 4.85328 -3.08452 1.87137  -0.58
N1 3.88195 -3.00223 0.77162  0.19
C3 3.23489 -1.68710 0.68884  -0.76
C4 2.03526 -1.56530 1.65540  -1.44
C5 1.19655 -0.38925 1.16725  0.44
C6 -0.04557 -0.51727 0.55938  -0.34
I1 -0.86644 -2.44927 0.31598  0.11
C7 -0.70938 0.61518 0.11516  1.24
C8 -2.06723 0.50526 -0.55914  -2.48
C9 -3.21959 0.97670 0.38558  -0.62
O1 -3.98665 -0.16796 0.74116  -0.38
Si1 -5.64968 0.06182 0.60494  0.70
C10 -6.55114 -1.52913 1.04090  -0.93
C11 -6.08865 0.53612 -1.18316  -1.13
C12 -6.24006 1.42405 1.76639  -1.16
C13 -0.16429 1.87504 0.27114  0.32
C14 -0.83286 3.14800 -0.24094  -1.10
C15 -0.16828 3.52629 -1.57426  0.71
C16 0.20314 2.54641 -2.46860  0.11
C17 0.82879 2.83888 -3.64898  -0.92
C18 1.09004 4.15170 -3.97856  -0.47
C19 0.71486 5.12636 -3.09727  -0.70
C20 0.09112 4.83161 -1.91650  -0.34
C21 1.04997 2.00460 0.89186  -0.07
C22 1.70659 0.87113 1.33193  0.80
C23 3.00020 1.35194 1.98583  -0.43
O2 3.76286 0.70344 2.66440  -0.48
N2 3.09211 2.72218 1.67988  0.22
C24 4.30798 3.05303 0.87102  -0.90
C25 5.52952 3.37786 1.73017  0.01
C26 6.31550 4.57627 1.17139  -1.48
Br1 6.79296 1.86240 1.81493  -0.16
C27 1.87539 3.23930 1.17455  -0.13
O3 1.63480 4.41229 1.00326  -0.59
C28 4.46587 -3.34498 -0.51164  0.55
C29 5.24670 -2.35385 -1.36542  -0.94
O4 4.28918 -4.47155 -0.93526  -0.59
H1 6.00506 -1.36553 1.03036  0.11
H2 7.03205 -2.66193 1.73998  0.32
H3 6.12368 -1.57925 2.74552  0.25
H4 5.24419 -4.10820 1.84163  0.45
H5 4.37300 -2.99581 2.84655  0.35
H6 3.90756 -0.82806 0.78680  0.44
H7 2.79755 -1.61483 -0.31633  0.66
H8 2.37946 -1.29865 2.65728  0.31
H9 1.46036 -2.48648 1.68220  0.49
H10 -2.25539 -0.51440 -0.88591  0.83
H11 -2.04240 1.13303 -1.45575  0.39
H12 -2.75540 1.38522 1.28872  0.37
H13 -3.81077 1.72880 -0.15220  0.54
H14 -6.86285 -1.50634 2.08915  0.35
H15 -7.43953 -1.57035 0.40277  0.33
H16 -5.91855 -2.40549 0.86680  0.07
H17 -6.47943 1.55844 -1.19149  0.29
H18 -5.15613 0.57138 -1.76192  0.32
H19 -6.76386 -0.17221 -1.66166  0.41
H20 -7.29766 1.61855 1.55442  0.36
H21 -6.19074 1.10392 2.81183  0.33
H22 -5.66270 2.34691 1.65543  0.32
H23 -0.63665 3.95324 0.46573  0.57
H24 -1.89384 2.96467 -0.40062  0.34
H25 0.01614 1.49631 -2.27472  0.23
H26 1.12615 2.02647 -4.30216  0.41
H27 1.60389 4.35342 -4.91064  0.39
H28 0.93274 6.15436 -3.36926  0.37
H29 -0.17126 5.65131 -1.25613  0.40
H30 4.49117 2.18217 0.23314  0.44
H31 4.01843 3.91899 0.27250  0.55
H32 5.27298 3.60862 2.76140  0.43
H33 6.53144 4.38531 0.11592  0.39
H34 5.79233 5.52042 1.33019  0.38
H35 7.28624 4.60097 1.66965  0.42
H36 5.39431 -2.71362 -2.38165  0.38
H37 6.21869 -2.11671 -0.92975  0.26
H38 4.69504 -1.41052 -1.44960  0.25
C30 -5.43885 -6.54120 -0.46013  -1.38
C31 -5.61588 -5.07912 -0.83987  0.51
C32 -5.01541 -4.78595 -2.20647  -1.25
O5 -5.00112 -4.24735 0.14386  -0.46
-- stop --
la mode
La sécurité économique.
le football, l'alcool et le fromage.
le temps de travail, les droits, la nourriture.
les femmes et les fêtes
les revendications.
les vacances et les Américains.
One of the topics that came up a lot was politics. Are politics very important to you personally?
I feel that for the French, because they live in France, they don't really see France as "luxurious" or "cultured" as the Americans do because the French live there while it is a luxury of sorts for Americans even to go there. I think that is why Americans also remark the great culture that France has while French wouldn't notice because it's what they live with every day. So are you happy with the French culture? If there was one thing you would change what would it be?
@Frances Chen
Nous ne sommes pas obsédés par la politique et, par extension, des politiciens qui ne font que décevoir par leurs actions (ou leurs manques d'action). Cela ne signifie pas que nous ne suivons pas la politique, mais ce n'est pas ce qu'on apprécie le mieux.
De mon point de vue, la politique est importante et il est dommage qu'elle soit gâchée par l'incompétence de nos dirigeants.
@amy du
Il est vrai que nous vivons dans un pays avec une importante culture, que ce soit gastronomiquement (fromages, vins, etc), historiquement (grottes, châteaux, monuments, etc) ou autres. Et nous en sommes très fière.
Néanmoins, le fait d'être né en France ne nous fait pas rendre compte de la chance que nous avons d'avoir une telle culture. En tout cas, cela ne se traduit pas dans nos obsessions (excepté la nourriture). En général, c'est du point de vue de l'étranger que notre culture intéresse le plus.
Some of the responses on the French side were very interesting to see. I'm surprised though, to see Americans as a response. Do you agree with this answer? and do you think this response was put down because the French are starting to pick up from American culture?
You suggest that food is perhaps the most important aspects of French culture. Would you say that this belief is shared among the French in general or is this a personal belief? Also, why do you think food in France is so much more important to the French than culterual things like art or history or language?
What I mean was that it seems that the French talk about politics more openly and more often. I understand that it is important to stay informed about the current events of our government. In America, talking about politics is often something that people avoid discussing in public or even with friends. This goes along with American's preoccupation with "political correctness". Is this the case in France?
En France, il est normal de parler politique, mais seulement avec les personnes que ça intéresse. Parce que bien sur, il y a des personnes qui ne s'intéressent pas à la politique et qui trouve cela rébarbatif.
Je pense que ce que Julien voulait dire c'est qu'en France on aime bien manger. L'histoire de France est bien évidemment intéressante, mais elle ne fait pas parti de notre quotidien contrairement à la nourriture. Après, c'est vrai que chacun pense différemment.
@ Romain. Hmmm What do you think the most interesting part of French culture is? Is it the food or the other things such as language and History?
My hypothesis about why Americans thought the French talk a lot about politics is that for the French, talking about politics is everyday life, and that for Americans it's surprising enough for them to notice as it's one of Mark Twain's 3 social faux pas: According to him, Religion, Politics, and Sex are topics best avoided.
Selon moi il y a deux choses à retenir de la France. Elle est la première nation d'Europe en grève et revendications et sa gastronomie est trés réputée. Et celà apparaît largement sur les réponses données par les deux côtés.
@ ami du
Du point de vue du français, ce qu'il préfère le plus de sa culture est sa gastronomie. Le reste nous intéresse occasionnellement, comme par exemple les monuments, mais cela ne signifie pas que nous nous y intéressons pas. Du point de vue de l'étranger, cela peut-être différent.
En tout cas, il n'y a pas réellement de niveaux d'importance dans notre culture, c'est juste que la nourriture nous "obsède" plus que le reste. Rien ne vaut un bon fois gras ou un excellent magret de canard.
Out of curiosity, do you cook for yourselves? What type of foods do you eat on a normal day?
I noticed that in another forum that the French think Americans are obsessed with fast food. From personal experience, at MIT, I do not know many students who cook for themselves. Usually, they buy food from our dining halls or order food from restaurants. Maybe that is why Americans are not very interested in food as much as the French are. That being said, when you say that food is a part of everyday life, do you eat the foods that the French are known for (for example, fois gras, magret de canard) on a daily basis?
hahahaha @ Julien
Hmmm. Well I also noticed that French are supposedly obsessed with girls and parties. Can you elaborate? Is this true (only one person said it but is it what you all think)? Why is this the cae do you think? hahahahah
hahahaha @ Julien
Hmmm. Well I also noticed that French are supposedly obsessed with girls and parties. Can you elaborate? Is this true (only one person said it but is it what you all think)? Why is this the cae do you think? hahahahah
What is your favorite dish, Julien? I had fond memories of enjoying raclette with friends when I visited a while ago.
I find it interesting that there still seems to be somewhat of an idealized view of France and what th French think with themselves. Freedom, food, wine, culture--on both sides, more or less. Some of the American students have identified a bit of francophone elitism. But, nonetheless, there is relatively fewer words which would desribe French obsessions with negative things (when compared with what the Americans are obsessed with).